May 11, 2017
Any time there is talk about using data to drive decision-making, we hear words like Metrics, KPIs, and Analytics thrown around; in some cases, they are used almost interchangeably. Distinguishing between these terms is integral and a proper grasp of these concepts and their application aids in understanding and distinguishing the different factors and processes while making decisions.
Let’s define each term and discuss the intricate differences between them that appear so similar.
“A Metric is something we can measure: a value, or a quantity.”
This is a general definition of Metrics - there are plenty of numbers and statistics your company, department, and you personally generate that give your work context and help you monitor productivity. The most useful Metrics are precisely selected so that each of them has an actionable meaning for the organization. Having said that, there can be 100s of metrics to choose from and build off.
Here are some examples of relevant metrics in a corporate legal department:
# Total Cases
# Closed Cases
# Vendors
# in-house Attorneys
% Staff Turnover
$ Department outside spend
“A KPI (Key Performance Indicator) is a measurable expression for the achievement of a desired level of results in an area relevant to the entity’s activity.”
Once leadership sets the department’s objectives, you will need to measure your progress toward your goals. KPIs grow naturally from an organization’s objectives and they are being measured periodically to tell you whether or not you are on track.
Everything starts with Metrics, but when information reflects the achievement of a desired state, what was formerly known as a Metric will be called a KPI. In other words, all KPIs are Metrics, but not all Metrics are KPIs. Here is an example to clarify.
The ‘# Open Cases’ usually isn’t vital data for a legal department. It doesn’t give you information about the achievement of a desired state. But let’s look at it from another point of view – the average ‘# Open Cases‘ of each Practice Area might be significantly more meaningful and provide historical insight for predictive decision making. Sometimes, such as in this case, KPIs can be analyzed in tandem to give more powerful insight.
Here are some examples of generally relevant KPIs in a corporate legal department:
% Legal spending from company revenue
% Legal staff per employees ratio
# Cases handled by attorney
$ Cost to close case
# Transnational cases per attorney
# Hours spent per case by attorneys
-- Calculated molecules, kept here for reference --
+++
Entry from the Open Molecules 2025 dataset: 2 unconnected molecules or ions with the total composition C4H8N2O3 at a distorted geometry (the ωB97M-V functional and the def2-TZVPD basis).

Atoms and positions in Å:
H -0.65 -2.68 1.51
N -0.49 -2.70 0.53
C 0.13 -1.62 0.17
O 0.29 -1.37 -1.16
N 0.83 -0.67 0.91
C 1.64 0.41 0.41
O 0.85 1.59 0.42
H -0.45 -1.84 -1.54
H 0.81 -0.96 1.84
H 2.34 0.79 1.17
H 1.93 0.11 -0.53
H 0.09 1.72 -0.16
C -2.14 1.35 -0.75
C -2.47 0.69 0.31
O -2.79 0.06 1.23
H -1.65 0.80 -1.45
H -2.30 2.46 -0.59

The HOMO energy is -9.337 eV. The LUMO energy is 0.63 eV. The calculation puts the HOMO-LUMO gap at 9.97 eV. The relative energy (zero: lowest compared OMol25 entry of this formula, charge and spin) comes out at 3.279 eV.

Entry from the Open Molecules 2025 dataset: a molecular structure, C31H52As3N2O5RuSSi at a distorted geometry (the ωB97M-V functional and the def2-TZVPD basis).

Atoms and positions in Å:
Ru -0.79 -0.85 0.60
O 0.11 -1.94 2.78
C 0.29 -1.31 4.02
C -0.24 0.11 4.04
C -0.37 0.77 5.26
C -0.82 2.07 5.28
C -1.13 2.67 4.06
C -0.96 1.94 2.90
N -0.53 0.68 2.88
H -0.86 -2.09 2.69
H 1.37 -1.29 4.22
H -0.20 -1.89 4.82
H -0.12 0.24 6.17
H -0.94 2.61 6.21
H -1.48 3.69 4.02
H -1.19 2.37 1.93
C 0.01 -1.92 -3.77
As -0.62 -0.93 -2.17
C -2.52 -1.17 -2.60
C -0.43 0.97 -2.77
C 0.91 1.64 -2.43
C 0.85 3.11 -2.90
C 1.16 1.72 -0.91
As 1.56 0.15 0.26
C 2.34 1.28 1.70
C 3.35 -0.45 -0.38
C 2.08 0.90 -3.07
As 2.51 0.76 -5.02
C 0.86 1.16 -6.05
C 3.35 2.54 -5.27
H -0.60 -1.67 -4.64
H -0.11 -2.98 -3.55
H 1.06 -1.73 -3.99
H -2.78 -0.75 -3.57
H -3.14 -0.71 -1.82
H -2.72 -2.24 -2.61
H -1.24 1.50 -2.25
H -0.61 1.03 -3.84
H 0.10 3.65 -2.33
H 0.59 3.18 -3.95
H 1.81 3.59 -2.74
H 0.26 2.16 -0.44
H 1.99 2.43 -0.76
H 3.28 1.74 1.36
H 2.55 0.67 2.57
H 1.64 2.07 1.99
H 3.89 0.37 -0.86
H 3.24 -1.28 -1.07
H 3.92 -0.77 0.49
H 2.02 -0.14 -2.70
H 3.00 1.32 -2.66
H 0.16 0.33 -5.98
H 1.17 1.24 -7.09
H 0.37 2.08 -5.76
H 4.21 2.64 -4.61
H 2.67 3.37 -5.10
H 3.72 2.61 -6.30
C 3.16 -4.62 5.07
C 2.44 -4.44 3.77
C 2.90 -3.54 2.82
C 2.22 -3.37 1.63
C 1.07 -4.08 1.37
C 0.60 -5.00 2.30
C 1.28 -5.17 3.49
S 0.24 -3.77 -0.20
O 1.11 -2.84 -0.91
O 0.00 -5.04 -0.84
N -1.15 -2.97 0.00
C -2.32 -3.65 0.32
C -2.78 -3.30 1.83
O -3.38 -4.17 2.42
O -2.43 -2.16 2.20
H 3.91 -3.84 5.20
H 3.67 -5.59 5.09
H 2.48 -4.59 5.91
H 3.79 -2.96 3.01
H 2.57 -2.67 0.88
H -0.30 -5.57 2.09
H 0.91 -5.87 4.22
H -2.24 -4.73 0.19
H -3.16 -3.26 -0.28
C -3.08 4.03 -2.16
Si -3.43 3.46 -0.37
C -2.59 4.72 0.81
C -5.30 3.44 -0.02
C -2.68 1.79 -0.05
C -2.16 0.72 0.23
H -3.65 4.93 -2.40
H -3.34 3.27 -2.89
H -2.03 4.28 -2.31
H -2.92 5.74 0.60
H -1.50 4.71 0.71
H -2.82 4.50 1.84
H -5.72 4.44 -0.07
H -5.50 3.05 0.97
H -5.83 2.82 -0.73

As for the expectation value of S²: 0.78. The HOMO energy (alpha / beta) is -7.362 / -7.309 eV. The spin multiplicity is 2. The LUMO energy (alpha / beta) is -1.72 / -1.16 eV. The calculation puts the HOMO-LUMO gap (alpha / beta) at 5.64 / 6.15 eV.
+++
# Time to close non-trial cases
“A KRI (Key Risk Indicator) is a metric that provides an early warning regarding an increased risk exposure in a certain area of operations”
KRIs are measures that enable managers to identify potential losses before they happen and take a proactive approach to mitigate the risk. Effective KRIs should be predictable (provide early warning signals) and comparable (track over a period of time – trends)
For example, a high level of average ‘% Case budget variance’ for a vendor or department can indicate problems in estimating the work, scope creep, and so on. If this KRI is not monitored and mitigated in a timely fashion, it may negatively impact the department’s budget.
Some examples of KRIs you could consider in your legal department are:
% Legal spending from company revenue
% Law department budget variance
% Cases successfully solved
% Budgeted cases handled within budget
“Analytics is the extensive and systematic use of data, statistical and quantitative analysis and explanatory and predictive models to drive fact-based actions for effective management”
Analytics is the process of turning Metrics, KPIs and KRIs into meaningful information that program staff and agency leaders can use to make decisions. It helps in monitoring an organization or program’s performance and directs leaders to where they need to focus greater attention. Analytics is a critical piece of performance management, which typically involves establishing goals, monitoring progress with specific measures and making adjustments along the way to improve performance and more effectively and efficiently achieve the set goals.
For example, Analytics information can answer these business questions for a legal department leader:
What is the estimated Legal Department budget for next year?
Which work should be done in-house and what kinds we should outsource?
Which vendor has the highest return on investment?
How can we demonstrate return on investment?
What are my alternative options for negotiating the cost of work?
Which cases are better to settle rather than go to trial?
KPI / KRI Workshop
One of the challenges for many organizations is around developing and managing the above indicators. To define a comprehensive list of KPIs and KRIs, it is fundamental to seek and receive inputs from internal as well as external entities and sources. A workshop would be a good starting point to discuss, identify and prioritize the indicators based on your organization’s goals.
Disclaimer: The views and opinions expressed in this article are the author’s own and do not necessarily reflect the view of any organizations.
Key Performance Indicator Infographic – http://kpiinstitute.org
Earson, D. L., Ogden, J. and Schoff, D. L., How to measure the effectiveness/ value of Legal Departments, Association of Corporate Counsel